Request >
Retype everything further down word for word, please.

Listing >
┌──
For Nd2Te2W2O13, a DFT-relaxed cell (PBE+U, Alexandria) gives the theoretical powder XRD pattern in this record (Cu Kα (λ = 1.5418 Å)).
Intensities are scaled so that the largest is 100.

Largest 10 diffraction maxima, by angle, 5° ≤ 2θ ≤ 70°:
2θ = 26.4°, rel. 85, hkl 0 1 3; 2θ = 26.8°, rel. 29, hkl 2 0 0; 2θ = 28.1°, rel. 100, hkl 1 1 -3; 2θ = 29.0°, rel. 37, hkl 2 0 1; 2θ = 29.6°, rel. 19, hkl 1 -2 1; 2θ = 29.7°, rel. 46, hkl 1 2 0; 2θ = 30.5°, rel. 38, hkl 1 -1 3; 2θ = 31.1°, rel. 15, hkl -2 1 2; 2θ = 45.0°, rel. 17, hkl 0 3 -3; 2θ = 46.6°, rel. 15, hkl 1 0 -6

Atomic structure:
Cell: 6.7248 6.9894 11.8164 Å, 90.61 98.22 93.48°
Fractional coordinates of all 38 atoms:
1 Nd 0.1310 0.3743 0.3666
2 Nd 0.2691 0.8710 0.8825
3 Nd 0.7309 0.1290 0.1175
4 Nd 0.8690 0.6257 0.6334
5 Te 0.2547 0.3902 0.0521
6 Te 0.3314 0.8194 0.5606
7 Te 0.6686 0.1806 0.4394
8 Te 0.7453 0.6098 0.9479
9 W 0.2538 0.8846 0.1865
10 W 0.3904 0.3729 0.7010
11 W 0.6096 0.6271 0.2990
12 W 0.7462 0.1154 0.8135
13 O 0.0137 0.0991 0.8569
14 O 0.0753 0.3262 0.1566
15 O 0.1200 0.6539 0.4881
16 O 0.1493 0.4516 0.7210
17 O 0.1790 0.8499 0.6818
18 O 0.2344 0.6717 0.0488
19 O 0.2924 0.0517 0.3087
20 O 0.2965 0.6561 0.2805
21 O 0.3242 0.2465 0.5637
22 O 0.3458 0.0514 0.0701
23 O 0.4239 0.1634 0.8018
24 O 0.4865 0.5832 0.8524
25 O 0.4919 0.6094 0.6228
26 O 0.5081 0.3906 0.3772
27 O 0.5135 0.4168 0.1476
28 O 0.5761 0.8366 0.1982
29 O 0.6542 0.9486 0.9299
30 O 0.6758 0.7535 0.4363
31 O 0.7035 0.3439 0.7195
32 O 0.7076 0.9483 0.6913
33 O 0.7656 0.3283 0.9512
34 O 0.8210 0.1501 0.3182
35 O 0.8507 0.5484 0.2790
36 O 0.8800 0.3461 0.5119
37 O 0.9247 0.6738 0.8434
38 O 0.9863 0.9009 0.1431
└──

Result >
For Nd2Te2W2O13, a DFT-relaxed cell (PBE+U, Alexandria) gives the theoretical powder XRD pattern in this record (Cu Kα (λ = 1.5418 Å)).
Intensities are scaled so that the largest is 100.

Largest 10 diffraction maxima, by angle, 5° ≤ 2θ ≤ 70°:
2θ = 26.4°, rel. 85, hkl 0 1 3; 2θ = 26.8°, rel. 29, hkl 2 0 0; 2θ = 28.1°, rel. 100, hkl 1 1 -3; 2θ = 29.0°, rel. 37, hkl 2 0 1; 2θ = 29.6°, rel. 19, hkl 1 -2 1; 2θ = 29.7°, rel. 46, hkl 1 2 0; 2θ = 30.5°, rel. 38, hkl 1 -1 3; 2θ = 31.1°, rel. 15, hkl -2 1 2; 2θ = 45.0°, rel. 17, hkl 0 3 -3; 2θ = 46.6°, rel. 15, hkl 1 0 -6

Atomic structure:
Cell: 6.7248 6.9894 11.8164 Å, 90.61 98.22 93.48°
Fractional coordinates of all 38 atoms:
1 Nd 0.1310 0.3743 0.3666
2 Nd 0.2691 0.8710 0.8825
3 Nd 0.7309 0.1290 0.1175
4 Nd 0.8690 0.6257 0.6334
5 Te 0.2547 0.3902 0.0521
6 Te 0.3314 0.8194 0.5606
7 Te 0.6686 0.1806 0.4394
8 Te 0.7453 0.6098 0.9479
9 W 0.2538 0.8846 0.1865
10 W 0.3904 0.3729 0.7010
11 W 0.6096 0.6271 0.2990
12 W 0.7462 0.1154 0.8135
13 O 0.0137 0.0991 0.8569
14 O 0.0753 0.3262 0.1566
15 O 0.1200 0.6539 0.4881
16 O 0.1493 0.4516 0.7210
17 O 0.1790 0.8499 0.6818
18 O 0.2344 0.6717 0.0488
19 O 0.2924 0.0517 0.3087
20 O 0.2965 0.6561 0.2805
21 O 0.3242 0.2465 0.5637
22 O 0.3458 0.0514 0.0701
23 O 0.4239 0.1634 0.8018
24 O 0.4865 0.5832 0.8524
25 O 0.4919 0.6094 0.6228
26 O 0.5081 0.3906 0.3772
27 O 0.5135 0.4168 0.1476
28 O 0.5761 0.8366 0.1982
29 O 0.6542 0.9486 0.9299
30 O 0.6758 0.7535 0.4363
31 O 0.7035 0.3439 0.7195
32 O 0.7076 0.9483 0.6913
33 O 0.7656 0.3283 0.9512
34 O 0.8210 0.1501 0.3182
35 O 0.8507 0.5484 0.2790
36 O 0.8800 0.3461 0.5119
37 O 0.9247 0.6738 0.8434
38 O 0.9863 0.9009 0.1431